Type out the whole of the data below without additions, please.

Starting from a DFT-relaxed cell (GGA-PBE, the Materials Project), the powder diffraction line list of NiTeSe was calculated for CuKα.
Peak positions follow from Bragg's law for the DFT cell and can differ from measured ones.

Structural model:
```
data_NiTeSe
_chemical_formula_sum 'Ni1 Te1 Se1'
_cell_length_a 3.7676
_cell_length_b 3.7676
_cell_length_c 5.0544
_cell_angle_alpha 90.00
_cell_angle_beta 90.00
_cell_angle_gamma 120.00
_space_group_name_H-M_alt 'P 3 m 1'
_space_group_IT_number 156
_space_group_name_Hall 'P 3 -2"'
loop_
_atom_site_label
_atom_site_type_symbol
_atom_site_fract_x
_atom_site_fract_y
_atom_site_fract_z
Ni1 Ni 0.0000 0.0000 0.0000
Te1 Te 0.6667 0.3333 0.7343
Se1 Se 0.3333 0.6667 0.2266
```

Main lines, by intensity (5° ≤ 2θ ≤ 70°):
two_theta	d (Å)	intensity	(hkl)
32.7	2.741	100	0 1 1
48.3	1.884	33	1 1 0
45.4	1.998	32	0 1 2
59.5	1.553	17	2 0 1
62.0	1.497	15	1 0 3
17.5	5.054	13	0 0 1
61.4	1.510	9	1 1 2
68.5	1.371	9	2 0 2
35.5	2.527	7	0 0 2
27.3	3.263	6	1 0 0


LiTiMn3O8: calculated PXRD pattern (Cu Ka), based on a DFT-relaxed cell (PBE+U, Alexandria).

Atomic structure:
```
data_LiTiMn3O8
_chemical_formula_sum 'Li3 Ti3 Mn9 O24'
_space_group_name_H-M_alt 'P -1'
_space_group_IT_number 2
_space_group_name_Hall '-P 1'
_cell_length_a 5.9482
_cell_length_b 6.1260
_cell_length_c 14.2667
_cell_angle_alpha 90.34
_cell_angle_beta 90.21
_cell_angle_gamma 116.38
loop_
_atom_site_label
_atom_site_type_symbol
_atom_site_fract_x
_atom_site_fract_y
_atom_site_fract_z
Li1 Li 0.0000 0.0000 0.0000
Li2 Li 0.1241 0.4016 0.6327
Ti1 Ti 0.2043 0.9097 0.6775
Ti2 Ti 0.5000 0.5000 0.0000
Mn1 Mn 0.0000 0.0000 0.5000
Mn2 Mn 0.0000 0.5000 0.0000
Mn3 Mn 0.1633 0.3325 0.1673
Mn4 Mn 0.3210 0.1561 0.3325
Mn5 Mn 0.3468 0.6890 0.8357
Mn6 Mn 0.5000 0.0000 0.5000
O1 O 0.0324 0.0358 0.2467
O2 O 0.0575 0.5866 0.7533
O3 O 0.1079 0.7872 0.9236
O4 O 0.1164 0.2589 0.4090
O5 O 0.1911 0.8802 0.4231
O6 O 0.1997 0.3963 0.9212
O7 O 0.2786 0.1520 0.5862
O8 O 0.2948 0.6093 0.0833
O9 O 0.3535 0.2173 0.0852
O10 O 0.3709 0.7419 0.5931
O11 O 0.4392 0.4321 0.2547
O12 O 0.4969 0.9744 0.7477
```

Most intense lines, 2θ from 10° to 90°, by intensity:
hkl  2θ/deg  intensity
0 1 1  17.36  100.0
0 2 -4  41.34  14.7
2 0 4  42.49  14.1
-2 2 4  43.50  14.0
-2 1 3  35.58  12.5
2 -1 3  35.69  8.5
4 -2 0  62.49  7.9
0 1 -5  35.33  7.6
0 3 -3  53.52  5.4
2 1 5  55.15  4.5
2 -2 8  63.51  4.0
-2 3 5  56.88  3.2


Structure and calculated powder X-ray diffraction pattern of AgSe (a crystal structure in Alexandria, relaxed with PBE; λ = 1.5418 Å (Cu Kα)).
Kinematic intensities with the Lorentz-polarization factor, no thermal factor.

Top 6 peaks for 10° ≤ 2θ ≤ 90°, by angle:
- 25.6 deg, rel. 39.6
- 29.3 deg, rel. 43.6
- 38.1 deg, rel. 52.3
- 38.5 deg, rel. 100.0
- 44.4 deg, rel. 60.8
- 45.6 deg, rel. 28.1

Structure:
```
data_AgSe
_symmetry_space_group_name_H-M 'P n n m'
_symmetry_Int_Tables_number 58
_symmetry_space_group_name_Hall '-P 2 2n'
_cell_length_a 6.322
_cell_length_b 7.127
_cell_length_c 3.978
_cell_angle_alpha 90.00
_cell_angle_beta 90.00
_cell_angle_gamma 90.00
loop_
_atom_site_label
_atom_site_type_symbol
_atom_site_fract_x
_atom_site_fract_y
_atom_site_fract_z
Ag1 Ag 0.000 0.000 0.000
Ag2 Ag 0.000 0.500 0.500
Se1 Se 0.190 0.167 0.500
```

Starting from a DFT-relaxed cell (GGA-PBE, the Materials Project), the powder diffraction line list of NiTeSe was calculated for CuKα.
Peak positions follow from Bragg's law for the DFT cell and can differ from measured ones.

Structural model:
```
data_NiTeSe
_chemical_formula_sum 'Ni1 Te1 Se1'
_cell_length_a 3.7676
_cell_length_b 3.7676
_cell_length_c 5.0544
_cell_angle_alpha 90.00
_cell_angle_beta 90.00
_cell_angle_gamma 120.00
_space_group_name_H-M_alt 'P 3 m 1'
_space_group_IT_number 156
_space_group_name_Hall 'P 3 -2"'
loop_
_atom_site_label
_atom_site_type_symbol
_atom_site_fract_x
_atom_site_fract_y
_atom_site_fract_z
Ni1 Ni 0.0000 0.0000 0.0000
Te1 Te 0.6667 0.3333 0.7343
Se1 Se 0.3333 0.6667 0.2266
```

Main lines, by intensity (5° ≤ 2θ ≤ 70°):
two_theta	d (Å)	intensity	(hkl)
32.7	2.741	100	0 1 1
48.3	1.884	33	1 1 0
45.4	1.998	32	0 1 2
59.5	1.553	17	2 0 1
62.0	1.497	15	1 0 3
17.5	5.054	13	0 0 1
61.4	1.510	9	1 1 2
68.5	1.371	9	2 0 2
35.5	2.527	7	0 0 2
27.3	3.263	6	1 0 0


LiTiMn3O8: calculated PXRD pattern (Cu Ka), based on a DFT-relaxed cell (PBE+U, Alexandria).

Atomic structure:
```
data_LiTiMn3O8
_chemical_formula_sum 'Li3 Ti3 Mn9 O24'
_space_group_name_H-M_alt 'P -1'
_space_group_IT_number 2
_space_group_name_Hall '-P 1'
_cell_length_a 5.9482
_cell_length_b 6.1260
_cell_length_c 14.2667
_cell_angle_alpha 90.34
_cell_angle_beta 90.21
_cell_angle_gamma 116.38
loop_
_atom_site_label
_atom_site_type_symbol
_atom_site_fract_x
_atom_site_fract_y
_atom_site_fract_z
Li1 Li 0.0000 0.0000 0.0000
Li2 Li 0.1241 0.4016 0.6327
Ti1 Ti 0.2043 0.9097 0.6775
Ti2 Ti 0.5000 0.5000 0.0000
Mn1 Mn 0.0000 0.0000 0.5000
Mn2 Mn 0.0000 0.5000 0.0000
Mn3 Mn 0.1633 0.3325 0.1673
Mn4 Mn 0.3210 0.1561 0.3325
Mn5 Mn 0.3468 0.6890 0.8357
Mn6 Mn 0.5000 0.0000 0.5000
O1 O 0.0324 0.0358 0.2467
O2 O 0.0575 0.5866 0.7533
O3 O 0.1079 0.7872 0.9236
O4 O 0.1164 0.2589 0.4090
O5 O 0.1911 0.8802 0.4231
O6 O 0.1997 0.3963 0.9212
O7 O 0.2786 0.1520 0.5862
O8 O 0.2948 0.6093 0.0833
O9 O 0.3535 0.2173 0.0852
O10 O 0.3709 0.7419 0.5931
O11 O 0.4392 0.4321 0.2547
O12 O 0.4969 0.9744 0.7477
```

Most intense lines, 2θ from 10° to 90°, by intensity:
hkl  2θ/deg  intensity
0 1 1  17.36  100.0
0 2 -4  41.34  14.7
2 0 4  42.49  14.1
-2 2 4  43.50  14.0
-2 1 3  35.58  12.5
2 -1 3  35.69  8.5
4 -2 0  62.49  7.9
0 1 -5  35.33  7.6
0 3 -3  53.52  5.4
2 1 5  55.15  4.5
2 -2 8  63.51  4.0
-2 3 5  56.88  3.2


Structure and calculated powder X-ray diffraction pattern of AgSe (a crystal structure in Alexandria, relaxed with PBE; λ = 1.5418 Å (Cu Kα)).
Kinematic intensities with the Lorentz-polarization factor, no thermal factor.

Top 6 peaks for 10° ≤ 2θ ≤ 90°, by angle:
- 25.6 deg, rel. 39.6
- 29.3 deg, rel. 43.6
- 38.1 deg, rel. 52.3
- 38.5 deg, rel. 100.0
- 44.4 deg, rel. 60.8
- 45.6 deg, rel. 28.1

Structure:
```
data_AgSe
_symmetry_space_group_name_H-M 'P n n m'
_symmetry_Int_Tables_number 58
_symmetry_space_group_name_Hall '-P 2 2n'
_cell_length_a 6.322
_cell_length_b 7.127
_cell_length_c 3.978
_cell_angle_alpha 90.00
_cell_angle_beta 90.00
_cell_angle_gamma 90.00
loop_
_atom_site_label
_atom_site_type_symbol
_atom_site_fract_x
_atom_site_fract_y
_atom_site_fract_z
Ag1 Ag 0.000 0.000 0.000
Ag2 Ag 0.000 0.500 0.500
Se1 Se 0.190 0.167 0.500
```